The Lions Pride Story
Next to the entry, the page also holds molecular data =
/*
1.
Here is C14H32AsF12NNiO16S6 as an isolated structure at a distorted geometry from the OMol25 dataset. Energies are from ωB97M-V/def2-TZVPD.

Summary:
- gap between HOMO and LUMO (alpha / beta) (eV) = 10.45 / 9.93
- energy above the lowest of the compared OMol25 structures with the same formula, charge and spin (kJ/mol) = 519.8
- multiplicity = 3
- LUMO (alpha / beta) (hartree) = 0.00063 / -0.01622

Geometry as XYZ:
```
83
Properties=species:S:1:pos:R:3:lowdin_spin:R:1
Ni -0.644 0.324 0.321 1.8053
C -4.791 2.100 0.892 0.0003
F -3.963 3.166 1.184 -0.0001
F -5.299 1.669 2.112 0.0002
F -5.890 2.409 0.155 0.0001
S -3.795 0.650 0.201 0.0018
O -3.621 -0.234 1.338 -0.0003
O -4.655 0.027 -0.762 0.0009
N -2.170 1.192 -0.433 0.0293
S -2.610 1.903 -1.765 0.0051
O -2.120 1.076 -2.855 0.0009
O -3.946 2.513 -1.849 0.0096
C -1.503 3.505 -1.634 0.0001
F -1.852 4.346 -2.650 0.0000
F -1.887 4.232 -0.529 0.0000
F -0.193 3.254 -1.784 0.0001
As -1.369 1.105 3.919 0.0025
F -2.727 0.017 4.414 0.0019
F -1.471 1.871 5.565 -0.0002
F -0.067 2.186 3.454 0.0008
F -1.217 0.483 2.268 0.0204
F -2.646 2.308 3.399 0.0011
F -0.257 -0.144 4.484 0.0017
O -0.706 -3.615 -1.159 0.0033
S -1.681 -2.642 -0.696 0.0047
O -1.206 -1.594 0.182 0.0234
O -2.371 -1.780 -1.923 -0.0002
C -2.850 -2.490 -3.074 -0.0001
C -4.425 -2.685 -3.133 0.0000
C -3.202 -3.445 -0.010 0.0021
H -2.503 -3.521 -3.141 0.0000
H -2.610 -1.846 -3.920 0.0000
H -4.920 -1.813 -2.705 0.0000
H -4.730 -3.572 -2.578 0.0000
H -4.831 -2.892 -4.124 0.0000
H -3.010 -3.658 1.041 0.0000
H -3.443 -4.337 -0.589 0.0002
H -3.956 -2.663 -0.102 0.0001
O 2.465 2.892 -0.443 0.0003
S 1.802 2.623 0.798 0.0046
O 0.514 1.911 0.811 0.0221
O 2.833 1.754 1.761 0.0000
C 4.203 1.944 1.543 0.0001
C 5.043 1.892 2.793 0.0000
C 1.727 4.179 1.719 0.0030
H 4.395 2.795 0.890 0.0000
H 4.479 1.066 0.959 0.0000
H 4.603 1.469 3.696 0.0000
H 5.482 2.866 3.008 0.0000
H 6.008 1.421 2.603 0.0000
H 2.610 4.281 2.350 0.0003
H 0.858 4.123 2.375 0.0000
H 1.593 5.044 1.070 0.0001
O 1.068 -0.662 1.023 0.0179
S 2.340 -1.382 0.978 0.0028
O 3.340 -1.065 -0.056 0.0004
O 3.084 -1.299 2.477 0.0026
C 2.372 -1.465 3.688 0.0000
C 3.147 -2.172 4.858 0.0001
C 1.938 -3.200 0.869 0.0009
H 1.395 -1.931 3.558 0.0000
H 2.201 -0.430 3.983 0.0000
H 4.079 -1.661 5.099 0.0000
H 3.375 -3.220 4.666 0.0000
H 2.439 -2.127 5.686 0.0000
H 0.944 -3.452 1.237 0.0000
H 2.731 -3.700 1.426 0.0000
H 2.144 -3.492 -0.161 0.0000
O 0.540 0.337 -1.424 0.0222
S 1.398 -0.191 -2.498 0.0039
O 1.843 -1.595 -2.443 0.0003
O 0.716 0.106 -4.000 0.0001
C 1.061 -0.594 -5.130 0.0001
C -0.046 -1.604 -5.281 0.0000
C 2.857 0.845 -2.649 0.0027
H 1.970 -1.180 -4.991 0.0000
H 1.256 -0.076 -6.069 0.0000
H 0.001 -2.436 -4.577 0.0000
H 0.000 -2.068 -6.266 0.0000
H -1.032 -1.139 -5.255 0.0000
H 2.451 1.823 -2.910 0.0000
H 3.408 0.464 -3.510 0.0004
H 3.503 0.903 -1.773 0.0000
```

=====

2.
*/
The story of the Lions Pride Campaign began with one Lion, DuWaye “Dewey” Carl.
The Evolution from Lions Pride Campaign …to Lions Pride Endowment Fund of WI, Inc.
The story of the Lions Pride Campaign began with one Lion. His dedication, love, conviction and call to action. That Lion was a former president of the Wisconsin Lions Foundation and a Past Council Chair of the Wisconsin Lions Council of Governors, DuWayne “Dewey” Carl. He saw a need and worked tirelessly to realize and fulfill his dream of preserving, protecting and providing for the future of all WLF projects.
Work toward the Lions Pride Campaign began in 2003 with the approval of the WLF Board of Directors to retain a consultant to perform a Feasibility Study about the prospect for success. Results of the study were accepted in late 2004 and extensive planning began. In May 2005, the Lions of Wisconsin voted to approve the Campaign; later that fall a Campaign Coordinator was hired and the Campaign was introduced in early 2006.
The Lions Pride Endowment Fund of WI, Inc. is managed day-to-day by Johnson Bank. To date, major decisions have been made by an Investment Board comprised of experienced financial advisors, both Lions and non-Lions. That Investment Board has been guided by two formal documents; the Investment Policy and the Gift Acceptance Policy.
In mid-2011, acting on the advice of the WLF auditor, as well as authoritative legal counsel, the WLF Board of Directors voted to establish two separate 501(c)(3) corporations, one being the Lions Pride Endowment Fund of WI, Inc. Chairman Dewey Carl and the Pride staff are pleased and have encouraged this development for some time.
With the establishment of Lions Pride Endowment Fund of WI, Inc. Pride Chairman, Dewey Carl, assumed the role of CEO/President until his passing in August 2016. He noted that, “The sole purpose of Lions Pride remains the same: to preserve and protect and provide significant financial support to further the exempt projects of the Wisconsin Lions Foundation, Inc.” While separate corporate entities, the parties will always share common interest in the projects of WLF and those they serve. The Lions Pride Endowment Fund of WI, Inc. “Today’s Help, Tomorrow’s Hope.
Prospective donors may wish to consider a variety of available tax-advantaged and other giving options. The Lions Pride staff is a valuable resource for learning more about Lions Pride Endowment Fund of WI, Inc. for additional information and planning support about donation possibilities you are encouraged to contact the Pride Office.